maintaining bobcat doosan fuel system best practices
Common Rail System
How To

┌──
Diffraction record for Ba2LaUO6. The X-ray powder pattern is calculated, not measured: it uses the GGA-PBE geometry in the Materials Project and copper Kα.
Intensities are scaled so that the largest is 100.

Lattice parameters (Å, degrees): 6.383 6.383 6.383 60.00 60.00 60.00
Sites, in units of the cell vectors:
Ba: 0.250 0.250 0.250
Ba: 0.750 0.750 0.750
La: 0.000 0.000 0.000
U: 0.500 0.500 0.500
O: 0.262 0.262 0.738
O: 0.262 0.738 0.262
O: 0.262 0.738 0.738
O: 0.738 0.262 0.262
O: 0.738 0.262 0.738
O: 0.738 0.738 0.262

The 10 most intense peaks (2θ from 10° to 80°), most intense first:
| d_spacing | I/Imax |
| --- | --- |
| 3.191 | 100.0 |
| 1.843 | 42.5 |
| 2.257 | 28.7 |
| 1.206 | 22.7 |
| 1.427 | 19.2 |
| 1.596 | 18.7 |
| 1.303 | 6.3 |
| 4.513 | 6.0 |
| 5.211 | 5.5 |
| 2.722 | 2.9 |

Diffraction record for PuHgAu2. The X-ray powder pattern is calculated, not measured: it uses the GGA-PBE geometry in the Materials Project and copper Kα.
Intensities are scaled so that the largest is 100.

Lattice parameters (Å, degrees): 7.063 7.063 7.063 90.00 90.00 90.00
Sites, in units of the cell vectors:
Pu: 0.000 0.000 0.000
Pu: 0.000 0.500 0.500
Pu: 0.500 0.000 0.500
Pu: 0.500 0.500 0.000
Hg: 0.000 0.000 0.500
Hg: 0.000 0.500 0.000
Hg: 0.500 0.000 0.000
Hg: 0.500 0.500 0.500
Au: 0.250 0.250 0.250
Au: 0.250 0.250 0.750
Au: 0.250 0.750 0.250
Au: 0.250 0.750 0.750
Au: 0.750 0.250 0.250
Au: 0.750 0.250 0.750
Au: 0.750 0.750 0.250
Au: 0.750 0.750 0.750

The 4 most intense peaks (2θ from 10° to 80°), most intense first:
| d_spacing | I/Imax |
| --- | --- |
| 2.497 | 100.0 |
| 1.442 | 37.4 |
| 1.766 | 18.0 |
| 1.248 | 11.8 |

Diffraction record for CaH2F4. The X-ray powder pattern is calculated, not measured: it uses the GGA-PBE geometry in the Materials Project and copper Kα.
Intensities are scaled so that the largest is 100.

Lattice parameters (Å, degrees): 7.384 6.029 5.837 76.95 52.69 50.36
Sites, in units of the cell vectors:
Ca: 0.125 0.125 0.125
Ca: 0.875 0.875 0.875
H: 0.256 0.256 0.494
H: 0.494 0.494 0.256
H: 0.506 0.506 0.744
H: 0.744 0.744 0.506
F: 0.165 0.349 0.724
F: 0.262 0.724 0.349
F: 0.276 0.738 0.835
F: 0.349 0.165 0.262
F: 0.651 0.835 0.738
F: 0.724 0.262 0.165
F: 0.738 0.276 0.651
F: 0.835 0.651 0.276

The 10 most intense peaks (2θ from 10° to 80°), most intense first:
| d_spacing | I/Imax |
| --- | --- |
| 2.254 | 100.0 |
| 3.689 | 90.3 |
| 4.480 | 61.6 |
| 2.240 | 54.2 |
| 1.892 | 46.9 |
| 2.884 | 41.2 |
| 1.821 | 37.2 |
| 1.811 | 34.9 |
| 1.721 | 27.8 |
| 1.957 | 22.2 |

Diffraction record for La2Si4CN6. The X-ray powder pattern is calculated, not measured: it uses the GGA-PBE geometry in the Materials Project and copper Kα.
Intensities are scaled so that the largest is 100.

Lattice parameters (Å, degrees): 11.607 5.250 13.535 90.00 90.00 90.00
Sites, in units of the cell vectors:
La: 0.076 0.250 0.087
La: 0.085 0.250 0.639
La: 0.415 0.750 0.139
La: 0.424 0.750 0.587
La: 0.576 0.250 0.413
La: 0.585 0.250 0.861
La: 0.915 0.750 0.361
└──

How To Maintain Bobcat Doosan Fuel System Tier 4 Engine

When issues with your machine arise, you may automatically think there is something wrong with your engine when the issue often points to contaminated fuel from dirt, debris, water or air.

First, let’s get a better understanding of Tier 4 Engine technology. Tier 4 standards are mandated by the EPA for all heavy machinery and equipment such as forklifts, tractors, loaders, excavators and more. Tier 4 Engine introduced engine emission technology that includes a high pressure fuel injection system and exhaust after-treatment systems. Tier 4 engine standards first started making their way into the market from 2008 to 2014. Today’s diesel engines run more pristine than ever before, but this also makes them highly susceptible to issues from contaminants because the high pressure common rail, also known as the HPCR uses extremely precise components. Fuel pressure in these engines has also risen dramatically to as high as 30,000 psi. If there are contaminants in the fuel that are combined with high pressure, erosion will start to occur and cause a variety of problems. This is why clean fuel is critical for today's engines. Fuel can vary from one supplier to the next.

As engines have been going through radical design changes, the fuel industry has also been required to make some changes. They’re now required to remove all sulfur from diesel. The chemistry changes that come from ultra low sulfur diesel make it more challenging for fuel suppliers to consistently provide high performing fuels. Plus, refining and additive techniques vary from supplier to supplier. Current fuel standards just don’t address the cleanliness needed for HPCR standards.

If you use biodiesel, you should be mindful that it demands more periodic filter changes and it also creates more water-related challenges such as microbial growth. Biodiesel tends to degrade faster than petroleum-based fuels and there is also a higher chance that freeze up occurs when exposed to cold weather conditions. 

To select the best fuel supplier, make sure your fuel supplier uses water removing filters rated to 10 microns or less under fuel delivery lines.To avoid gelling/freeze up, utilize a blend of #1 and #2 diesel with a low cloud point temperature. Keep spare fuel filters around at all times for every HPCR engine and only use Bobcat approved fuel filters. More about replacing fuel filters here. 

To summarize, the three most common causes that can lead to fuel system issues are dirt and debris, water and condensation or air. Dirt or debris can contaminate your fuel and lead to costly issues. It’s important to know how dirt can get into your fuel. Water from humidity or rain can cause your fuel filter to clog and stop all fuel flow. Air from loose fuel lines or a faulty spray nozzle can enter and become trapped in the fuel injection system which can lead to a hard starting engine. To decrease your odds of running into these issues, follow the recommendations below. 

Some best practices to follow: 

  • Refill the fuel tank at the end of each work shift. We recommend keeping your tank to about 90 percent full to help reduce condensation such as humidity or oxygen exposure 
  • Source your fuel from a reliable supplier that uses water removing filters rated to 10 microns or less 
  • When refilling your tank, make sure the surrounding area is clean of any dirt, dust or debris that can fall in 
  • Never insert fuel prior to the fuel filter being installed 
  • Only use new diesel fuel 
  • Use clean fuel cans dedicated for diesel only and store them inside in a temperature controlled environment (70 degrees Fahrenheit or below). Read more about storing diesel fuel.
  • Use clean tools during repairs and maintenance
  • Drain the water trap daily to weekly. Read more about this process. 
  • You can use an additive such as a biocide or a stabilizer to prevent degradation. Read more about the best fuel additives.  
  • Make sure to follow all cold weather starting procedures. For example, in cold weather, verify the Cloud Point (CP) of your fuel to ensure it is appropriate for your climate. Avoid biodiesel blends higher than 5% (B5) in freezing conditions, as they significantly increase the risk of filter plugging.
  • Use only Bobcat approved fuel additives 
  • Schedule in frequent maintenance and replace fuel filters every 500 hours under normal conditions. If using biodiesel or operating in extreme conditions (dust, debris, or contaminated fuel), replace them every 250 hours or sooner as needed.
  • Perform any maintenance indoors if possible, or avoid working maintenance work in windy conditions
  • Clean out your tank every so often, such as every few years at the very least 

A proactive fuel management strategy will help ensure reliable performance and prevent unexpected issues caused by fuel contaminants. In the long run, following these tips will help save you any headaches, time and money that comes from experiencing premature issues with your fuel system. 

### Unrelated to this entry: calculated crystals
********
Computed XRD peak list of Tb8Tm2Sn for a wavelength of 1.5418 Å, from DFT lattice parameters and positions (PBE).
Lines closer than 0.1° are merged.

```
data_Tb8Tm2Sn
_chemical_formula_sum 'Tb16 Tm4 Sn2'
_symmetry_space_group_name_H-M 'C 1 2/m 1'
_symmetry_Int_Tables_number 12
_symmetry_space_group_name_Hall '-C 2y'
_cell_length_a 19.3511
_cell_length_b 5.5340
_cell_length_c 6.4237
_cell_angle_alpha 90.00
_cell_angle_beta 94.79
_cell_angle_gamma 90.00
loop_
_atom_site_label
_atom_site_fract_x
_atom_site_fract_y
_atom_site_fract_z
Tb1 0.0439 0.0000 0.2625
Tb2 0.0791 0.5000 0.5981
Tb3 0.1557 0.0000 0.8026
Tb4 0.1623 0.5000 0.1219
Tm1 0.2426 0.0000 0.3384
Sn1 0.0000 0.5000 0.0000
```

Largest 6 diffraction maxima, by angle, 2θ from 10° to 90°:
2θ = 30.1°, I 27.2, (6 0 -1)
2θ = 30.6°, I 16.9, (5 1 -1)
2θ = 32.3°, I 100.0, (0 2 0)
2θ = 32.4°, I 68.1, (5 1 1)
2θ = 44.7°, I 18.3, (6 2 -1)
2θ = 57.7°, I 15.2, (1 3 -2)

=====

No. 1
For Mg2ZnCoH, a cell relaxed with PBE gives the calculated powder XRD pattern in this record (CuKα).

Main lines, by angle (5 to 70 degrees two-theta):
two_theta	intensity
27.47	13.2
28.32	26.5
39.86	100.0
40.47	49.1
49.61	10.0
58.57	15.5

Atomic structure:
a = 4.4574 Å, b = 4.4574 Å, c = 3.2474 Å
α = 90.00°, β = 90.00°, γ = 90.00°
Sites, in units of the cell vectors:
Mg1 0.0000 0.5000 0.0000
Mg2 0.5000 0.0000 0.0000
Zn1 0.0000 0.0000 0.5000
Co1 0.5000 0.5000 0.5000
H1 0.5000 0.5000 0.0000

---

No. 2
For Nd3Ho3Tl5, a cell relaxed with PBE gives the calculated powder XRD pattern in this record (CuKα).

Main lines, by angle (5 to 70 degrees two-theta):
two_theta	intensity
15.58	71.0
27.13	47.3
31.46	44.6
33.38	84.3
37.03	100.0
46.52	55.9

Atomic structure:
a = 9.3001 Å, b = 9.3001 Å, c = 5.6873 Å
α = 90.00°, β = 90.00°, γ = 120.00°
Sites, in units of the cell vectors:
Nd1 0.0000 0.4336 0.0000
Nd2 0.4336 0.0000 0.0000
Nd3 0.5664 0.5664 0.0000
Ho1 0.0000 0.6803 0.5000
Ho2 0.3197 0.3197 0.5000
Ho3 0.6803 0.0000 0.5000
Tl1 0.0000 0.3122 0.5000
Tl2 0.3122 0.0000 0.5000
Tl3 0.3333 0.6667 0.5000
Tl4 0.6667 0.3333 0.5000
Tl5 0.6878 0.6878 0.5000

---

No. 3
For Pm2BiO5, a cell relaxed with PBE gives the calculated powder XRD pattern in this record (CuKα).

Main lines, by angle (5 to 70 degrees two-theta):
two_theta	intensity
27.22	90.3
27.63	100.0
28.26	98.5
28.78	85.2
32.09	48.6
33.36	41.5

Atomic structure:
a = 6.8811 Å, b = 7.7820 Å, c = 10.1533 Å
α = 82.43°, β = 70.30°, γ = 88.83°
Sites, in units of the cell vectors:
Pm1 0.0572 0.1993 0.1746
Pm2 0.2326 0.1256 0.5050
Pm3 0.2658 0.6187 0.5033
Pm4 0.4432 0.5904 0.8375
Pm5 0.5568 0.4096 0.1625
Pm6 0.7342 0.3813 0.4967
Pm7 0.7674 0.8744 0.4950
Pm8 0.9428 0.8007 0.8254
Bi1 0.0876 0.6646 0.1803
Bi2 0.4118 0.0730 0.8234
Bi3 0.5882 0.9270 0.1766
Bi4 0.9124 0.3354 0.8197
O1 0.0138 0.3734 0.5958
O2 0.0515 0.8478 0.5914
O3 0.0816 0.0981 0.7722
O4 0.1470 0.5358 0.7724
O5 0.1681 0.7811 0.9640
O6 0.2709 0.4507 0.0780
O7 0.3782 0.1396 0.2010
O8 0.3835 0.6935 0.2126
O9 0.4448 0.3774 0.4069
********
### Back to the entry

If you do find that fuel system service is required and you need to purchase parts, we sell the complete fuel system kits that are compatible for the D18, D24 and D34 Doosan Engines D18, D24, D34. Search through our parts catalog today!


The information provided in this article is for general guidance only. Always refer to your machine’s manual or consult a qualified mechanic before performing any maintenance or repairs.